King Canute and the Order of the Universe: A Sermon from Kramer Chapel

Attached: crystal structures >
1.
# PBE-GGA PuSb2, optimized geometry
# E_form in eV per formula unit: -1.9
# Raw total energy in eV/f.u.: -24.03
# Space group: Cmce, No. 64
data_PuSb2
_space_group_name_H-M_alt 'P 1'
_space_group_IT_number 1
_cell_length_a 4.406
_cell_length_b 4.406
_cell_length_c 17.151
_cell_angle_alpha 90.00
_cell_angle_beta 90.00
_cell_angle_gamma 90.07
loop_
_space_group_symop_operation_xyz
'x,y,z'
loop_
_atom_site_label
_atom_site_type_symbol
_atom_site_fract_x
_atom_site_fract_y
_atom_site_fract_z
Pu1 Pu 0.641 0.359 0.893
Pu2 Pu 0.359 0.641 0.107
Pu3 Pu 0.859 0.141 0.393
Pu4 Pu 0.141 0.859 0.607
Sb1 Sb 0.641 0.359 0.570
Sb2 Sb 0.359 0.641 0.430
Sb3 Sb 0.859 0.141 0.070
Sb4 Sb 0.141 0.859 0.930
Sb5 Sb 0.626 0.874 0.750
Sb6 Sb 0.874 0.626 0.250
Sb7 Sb 0.374 0.126 0.250
Sb8 Sb 0.126 0.374 0.750

***

2.
# PBE-GGA Na10Ca3Hf5Si6S6O48, optimized geometry
# E_form in eV per formula unit: -218.5
# Raw total energy in eV/f.u.: -549.38
# Space group: P1, No. 1
data_Na10Ca3Hf5Si6S6O48
_space_group_name_H-M_alt 'P 1'
_space_group_IT_number 1
_cell_length_a 18.405
_cell_length_b 9.191
_cell_length_c 23.245
_cell_angle_alpha 89.87
_cell_angle_beta 89.95
_cell_angle_gamma 119.97
loop_
_space_group_symop_operation_xyz
'x,y,z'
loop_
_atom_site_label
_atom_site_type_symbol
_atom_site_fract_x
_atom_site_fract_y
_atom_site_fract_z
Na1 Na 0.316 0.999 0.246
Na2 Na 0.194 0.366 0.244
Na3 Na 0.692 0.373 0.243
Na4 Na 0.997 0.643 0.252
Na5 Na 0.318 0.614 0.756
Na6 Na 0.819 0.626 0.750
Na7 Na 0.992 0.360 0.752
Na8 Na 0.497 0.375 0.742
Na9 Na 0.181 0.010 0.749
Na10 Na 0.687 0.013 0.751
Na11 Na 0.647 0.344 0.575
Na12 Na 0.320 0.677 0.079
Na13 Na 0.823 0.681 0.088
Na14 Na 0.163 0.321 0.923
Na15 Na 0.998 0.311 0.420
Na16 Na 0.162 0.027 0.418
Na17 Na 0.663 0.026 0.414
Na18 Na 0.843 0.674 0.418
Na19 Na 0.002 0.004 0.500
Na20 Na 0.495 0.017 0.496
Na21 Na 0.007 0.029 0.000
Na22 Na 0.502 0.026 0.995
Na23 Na 0.344 0.359 0.835
Na24 Na 0.838 0.335 0.829
Na25 Na 0.335 0.365 0.327
Na26 Na 0.833 0.338 0.331
Na27 Na 0.169 0.658 0.159
Na28 Na 0.664 0.660 0.160
Na29 Na 0.161 0.659 0.663
Na30 Na 0.656 0.659 0.662
Ca1 Ca 0.496 0.997 0.352
Ca2 Ca 0.337 0.340 0.683
Ca3 Ca 0.835 0.336 0.688
Ca4 Ca 0.332 0.338 0.184
Ca5 Ca 0.832 0.330 0.183
Ca6 Ca 0.165 0.655 0.014
Ca7 Ca 0.659 0.648 0.014
Ca8 Ca 0.162 0.656 0.515
Ca9 Ca 0.667 0.665 0.517
Hf1 Hf 0.000 0.993 0.352
Hf2 Hf 0.998 0.003 0.850
Hf3 Hf 0.502 0.999 0.855
Hf4 Hf 0.001 0.001 0.653
Hf5 Hf 0.503 0.008 0.648
Hf6 Hf 0.006 0.998 0.148
Hf7 Hf 0.500 0.001 0.147
Hf8 Hf 0.334 0.343 0.978
Hf9 Hf 0.829 0.326 0.982
Hf10 Hf 0.338 0.339 0.485
Hf11 Hf 0.836 0.338 0.477
Hf12 Hf 0.171 0.664 0.317
Hf13 Hf 0.675 0.671 0.318
Hf14 Hf 0.158 0.643 0.820
Hf15 Hf 0.658 0.654 0.813
Si1 Si 0.147 0.991 0.253
Si2 Si 0.352 0.707 0.250
Si3 Si 0.853 0.712 0.250
Si4 Si 0.145 0.294 0.752
Si5 Si 0.643 0.290 0.751
Si6 Si 0.006 0.717 0.752
Si7 Si 0.501 0.715 0.751
Si8 Si 0.852 0.990 0.751
Si9 Si 0.483 0.328 0.588
Si10 Si 0.182 0.329 0.085
Si11 Si 0.683 0.331 0.087


Preached at Kramer Chapel, CTS, Fort Wayne, IN

June 26, 2024

Text: Job 38:1–11; St. Mark 4:35–41

In the Name of the Father and of the + Son and of the Holy Spirit. Amen.

King Canute, who ruled England in the early 11 th century, is most famous, and often mocked, for his attempt to command the sea. But few actually remember the pious point he made.

“He ordered a seat to be placed for him on the sea-shore when the tide was coming in; thus seated, he shouted to the flowing sea, ‘Thou, too, art subject to my command, as the land on which I am seated is mine; and no one has ever resisted my commands with impunity. I command you, then, not to flow over my land, nor presume to wet the feet and the robe of your lord.’ The tide, however, continuing to rise as usual, dashed over his feet and legs without respect to his royal person. Then the King leapt backwards, saying: ‘Let all men know how empty and worthless is the power of kings, for there is none worthy of the name, but He whom heaven, earth, and sea obey by eternal laws.’ From thenceforth King Canute never wore his crown of gold, but placed it for a lasting memorial on the image of Our Lord affixed to a cross, to the honour of God the almighty King.” *

Here is the truth perceived by Canute and manifested by Jesus on the Sea of Galilee: there is a King and His laws still stand. There is order in this world. Tides come in and go out as usual. Storms rage and storms cease. And none of this is accidental. It’s all carried out by the decrees of the Lord.

Yet, almost everything you hear and watch and read is telling you: this world is chaos. Life is random. It’s all disaster and confusion. And if there is any truth, how can you possibly know it? So, either you give yourself up to the storm, and let your passions carry you away like waves until they drown you. Or you put your trust in the people who claim to have the answers for providing stability and safety and strength.

But both options are accepting the inevitability of chaos. And that’s the lie. This world is not chaos. Nothing is random. This world is a harmony. There is order (dare we say, hierarchy) and by that we mean there is design. I’m not talking about a system of power. The One who orders the cosmos is like a master craftsman creating a cathedral’s rose window, putting each brilliant piece in its proper place. By His Word, our true King directs all things for the good of His creation, and especially for the good of those who love Him.

So, apart from Jesus, the forces of nature go wild, both in the world and in yourself. Storms in nature are always images of the stormy passions raging in the human soul. Because all chaos comes from our sin and death. Our disobedience causes the disorder in our soul, and the breakdown of society, and the groaning of all creation. It’s all connected. Nature simply reflects and magnifies the disorder and destruction we bring upon ourselves.

The sea especially is always a picture of spiritual chaos. Read Job and the Psalms and you’ll see how the Lord is depicted defeating the powers of darkness by also calming the storms: You divided the sea by Your might; You broke the heads of the sea monsters on the waters… Psalm 74:13. The Lord stills the roaring of the seas, the roaring of their waves, the tumult of the peoples… Psalm 65.

He rebukes the sea and it obeys. He sets a limit to the chaos of sin and death and establishes peace. For He is the One who first set limits on the powers of creation. He challenged Job on this very point: “Who shut in the sea with doors when it burst out from the womb… and prescribed limits for it and set bars and doors, and said, ‘Thus far shall you come, and no farther, and here shall your proud waves be stayed’?

This is the same Lord, riding the storm with the disciples. He put His creation in order at the beginning, so of course He continues to maintain that order even now. The chaos of our sin cannot dethrone the King. It cannot overthrow His order and design.

In fact, He is even active in the chaos, moving it, controlling it for His own good purpose. Just as a storm attacked the disciples’ boat, it was a whirlwind that confronted Job with the presence of the Lord. Storms are a sign of creation groaning and coming apart, but even in and behind those storms, God’s order is still at work. In Psalm 107, those who go down to the sea in ships… saw the deeds of the Lord,  His wondrous works in the deep. For He commanded and raised the stormy wind, which lifted up the waves of the sea… Then they cried to the Lord in their trouble, and He delivered them from their distress. He made the storm be still, and the waves of the sea were hushed.

In all of this, the Lord of Creation is restoring order. He restores order in the external forces of nature and He restores order in the soul of man. It is telling that the command Jesus speaks to the raging sea is the same word that He speaks to the demon in Mark 1: “Be still. Be silent. Be muzzled.” He puts a muzzle the sea, shutting its howling, gaping maw. And He muzzles the demons, shutting their ugly, lying lips. What he does for the disciples drowning in the storm, He does for the man possessed by a demon. And He does the same for you, full of all your sins and worries and fears.

If we see disorder and chaos in the world, we must first look within our own hearts and minds. If we want to have order in our homes or in society, then we must first have order in our own souls. And Jesus is the only one who can do that for us. He muzzled all the forces of chaos by His death on the cross. He paid for our sin and silenced the devil and death. He went down into the depths and brought us out with Him.

You will face many storms, and you may get blown off course or even die for a little while, but you will never perish. There is a King and His laws still stand. There is order in this world. Tides come in and go out as usual. Storms rage and storms cease. And none of this is accidental. There is harmony in this world because by His Word, our true King directs all things for the good of His creation and especially for you, His children.

Misplaced records of crystals:
........
Here is an optimized crystal structure of Na2VO3 from the Materials Project database. Energies are from PBE with a Hubbard U.

Results
Theoretical density: 3554 kg/m³
Size of the total moment: 1.0 μB per formula unit
Corrected total energy (MP2020 scheme): -160.08 eV per cell
Formation enthalpy at 0 K: -216.2 kJ per mole of atoms
Final energy: -145.035 eV for the cell shown

Lattice parameters (Å, degrees): 5.304 9.423 5.690 90.00 107.76 90.00
Space group C2/m (No. 12)
Inequivalent atoms, fractional coordinates:
Na 0.000 0.000 0.000
Na 0.000 0.159 0.500
Na 0.000 0.500 0.500
V 0.000 0.339 0.000
O 0.196 0.500 0.204
O 0.226 0.315 0.799

***

Here is an optimized crystal structure of Ba2AlTlCr2O7 from the Materials Project database. Energies are from PBE with a Hubbard U.

Results
Theoretical density: 6147 kg/m³
Size of the total moment: 6.2 μB per formula unit
Corrected total energy (MP2020 scheme): -92.92 eV per cell
Formation enthalpy at 0 K: -215.5 kJ per mole of atoms
Final energy: -84.118 eV for the cell shown

Lattice parameters (Å, degrees): 3.832 3.832 13.284 90.00 90.00 90.00
Space group P4/mmm (No. 123)
Inequivalent atoms, fractional coordinates:
Ba 0.000 0.000 0.198
Al 0.000 0.000 0.500
Tl 0.500 0.500 0.000
Cr 0.500 0.500 0.371
O 0.000 0.000 0.000
O 0.000 0.500 0.406
O 0.500 0.500 0.225

***

- Among the records above, which one has the lowest formation enthalpy at 0 K?
  Na2VO3
........
Back to the piece:

In the Holy + Name of Jesus. Amen.

*Recorded by Henry of Huntingdon. From The Oxford Book of Royal Anecdotes. Edited by Elizabeth Longford. Oxford University Press, 1989. p.35–36.

The Reverend Anthony Dodgers is married to Betsy Dodgers and they have two boys, Nicholas and Arthur. He is the Associate Pastor, Headmaster, & Middle School Teacher at Bethlehem Lutheran Church & School in Ossian, Indiana.